Using Deep Learning to Classify Heart Defects
by Audrey Wiseman
'''
Molecular formula: C8H17ErO3P2
Method: DFT, ωB97M-V/def2-TZVPD

HOMO energy (spin up / spin down): -5.19 / -5.21 eV
F_max: 3.58 eV/A
orbital gap (spin up / spin down): 0.122 / 0.124 Eh
⟨S²⟩: 3.76
spin multiplicity: 4
electronic energy: -2238.25659 Ha

```
31
C8H17ErO3P2 (ωB97M-V/def2-TZVPD)
C -0.50 0.53 -2.45
C -0.90 1.82 -2.81
C 0.03 2.76 -2.28
C 1.07 2.08 -1.59
C 0.84 0.70 -1.64
Er -1.80 -0.70 1.42
P -0.28 -2.56 0.14
H -0.98 -0.42 -2.67
H -1.80 2.06 -3.38
H -0.03 3.84 -2.40
H 1.43 -0.10 -1.22
H 1.90 2.55 -1.05
H 1.04 -2.38 -0.40
H -0.92 -3.03 -1.07
H -0.05 -3.85 0.73
C 1.89 -1.81 4.11
O 1.02 -0.82 3.55
P -0.63 -0.95 3.65
O -1.03 -0.87 5.23
C -0.65 0.20 6.12
O -0.64 0.87 1.29
C 0.21 1.95 1.60
H 2.45 -2.27 3.30
H 1.33 -2.58 4.66
H 2.58 -1.29 4.78
H -1.51 0.36 6.77
H 0.20 -0.14 6.72
H -0.40 1.12 5.59
H -0.37 2.88 1.55
H 0.59 1.81 2.62
H 1.03 2.00 0.89
```

----------

No. 1
45
Properties=species:S:1:pos:R:3:forces:R:3 method="wB97M-V/def2-TZVPD" total_energy_ha=-1008.2802 gap_ev="7.971 / 7.970" charge=+1 homo_energy_ev="-11.36 / -11.36" e_above_lowest_kcal_mol=3.7 mol_weight_da=389.8
Pd -1.046 -1.023 0.532 -0.1 -0.2 0.6
N -1.316 -2.744 1.839 0.0 0.0 0.1
C -0.699 -3.921 1.196 0.0 0.0 0.0
C -1.061 -3.943 -0.282 0.0 -0.1 0.0
N -0.749 -2.672 -0.955 -0.2 0.4 0.1
C 0.580 -2.585 -1.588 0.0 0.0 -0.1
C 1.747 -2.459 -0.612 0.0 0.0 0.0
N 1.555 -1.332 0.297 0.1 0.0 0.0
H -0.972 -2.636 2.788 0.0 0.0 0.0
H -2.321 -2.880 1.913 0.0 0.0 0.0
H -1.021 -4.856 1.659 0.0 0.0 0.0
H 0.376 -3.838 1.335 0.0 0.0 0.0
H -2.135 -4.115 -0.383 0.0 0.0 0.0
H -0.551 -4.782 -0.766 0.0 0.0 0.0
H -1.446 -2.469 -1.662 0.0 -0.1 0.0
H 0.555 -1.707 -2.237 0.0 0.0 0.0
H 0.752 -3.462 -2.221 0.0 0.0 0.0
H 2.658 -2.378 -1.213 0.0 0.0 0.0
H 1.854 -3.372 -0.026 0.0 0.0 0.0
H 1.794 -0.458 -0.159 0.0 0.0 0.0
H 2.144 -1.398 1.118 0.0 -0.1 0.0
N -1.181 0.349 -0.779 0.5 0.0 -0.6
C -0.627 1.444 -0.438 -0.1 -0.1 -0.1
C -0.525 2.590 -1.371 0.0 0.1 0.1
C -0.557 3.894 -0.882 0.0 0.0 0.0
C -0.480 4.966 -1.757 0.0 0.0 0.0
C -0.361 4.738 -3.121 0.0 0.0 0.0
C -0.323 3.439 -3.611 0.0 0.0 0.0
C -0.407 2.366 -2.739 0.0 0.0 0.0
C -0.066 1.497 0.938 -0.1 0.0 0.1
C -0.807 0.868 1.953 -0.2 -0.2 -0.2
C -0.280 0.728 3.238 0.1 0.0 0.0
C 0.978 1.225 3.515 0.0 0.0 0.0
C 1.709 1.871 2.516 0.0 0.0 0.0
C 1.196 2.008 1.239 0.0 0.0 0.0
H -0.655 4.070 0.182 0.0 0.0 0.0
H -0.516 5.978 -1.378 0.0 0.0 0.0
H -0.297 5.574 -3.804 0.0 0.0 0.0
H -0.226 3.265 -4.674 0.0 0.0 0.0
H -0.385 1.349 -3.108 0.0 0.0 0.0
H -1.863 0.623 1.764 0.0 0.1 0.0
H -0.871 0.268 4.020 0.0 0.0 0.0
H 1.388 1.138 4.512 0.0 0.0 0.0
H 2.686 2.274 2.747 0.0 0.0 0.0
H 1.768 2.508 0.466 0.0 0.0 0.0

No. 2
49
Properties=species:S:1:pos:R:3:forces:R:3 method="wB97M-V/def2-TZVPD" total_energy_ha=-1236.1846 gap_ev=8.008 smiles="COc1ccc(N/C(=C/[N+](=O)[O-])NCCCn2cncc2C)c(OC)c1" homo_energy_ev=-8.17 e_above_lowest_kcal_mol=114.5 mol_weight_da=361.4
O 2.604 -3.461 -0.160 0.5 -0.2 -0.1
O 4.717 -2.992 0.094 0.1 -0.3 0.0
N -3.842 -3.052 2.225 0.0 -0.3 0.2
'''
Although many patients trust a diagnosis, or lack thereof, given by a doctor, doctors cannot always perfectly read the tests or scans they are presented with. A misdiagnosis can lead to confusion regarding symptoms, but in the worst case scenario can cause death if the true disease is left untreated. A recent study showed that clinician accuracy ranges from 58-85% depending on the experience levels of the physicians (Satia). In this project, I aim to classify and locate heart a variety of heart defects in chest x-rays with better accuracy than most clinicians.
I. Introduction
II. Data
III. Class Imbalance and Loss Function
IV. Keras ImageDataGenerator
V. Model
VI. Results
VII. Next Steps
VIII. Conclusion
When I discovered NIH’s Chest-XRay8 dataset, I was impressed by the amount of data they had collected and was inspired to apply Computer Vision to solve the task of diagnosing heart disease. The project seemed to provide ample opportunity for hands-on experience with deep learning while also incorporating biotechnological elements that interested me. Despite the undesirable results, this project helped me better understand real-world issues that arise when working with Artificial Neural Networks and Deep Learning.
The data I used to train the model was published by NIH in 2017 and contains over 112,000 chest x-rays. This dataset contains 15 classes, or defects, and more than one defect can be present in each scan. These classes include Atelectasis, Cardiomegaly, Effusion, Infiltration, Mass, Nodule, Pneumonia, Pneumothorax, Consolidation, Edema, Emphysema, Fibrosis, Pleural Thickening, Hernia, and No Findings. The dataset also includes coordinates for the bounding boxes of some of defects present in the images (but not all).
Class Imbalance and Focal Loss
A major problem I faced with this dataset was the significant imbalance between classes. Because some diseases are more prevalent than others, the model had difficulty breaking the habit of choosing the most common label on each image. It is understandable that this dataset would be imbalanced because some diseases are more common than others; however, a significantly imbalanced dataset such as this one can cause the model to over-predict some classes and under-predict others.
Due to the major class imbalance that this problem contains, a focal loss was necessary to help balance the problem. The Sigmoid Focal Cross Entropy Loss that I applied to the model is not tempted to classify images based on the number of times that classification has been correct in previous predictions. For example, if the model has only seen a thousand cases of a ‘Pneumothorax’ and is then given a ‘Hernia’, the focal loss will be considerate of this and will not necessarily predict ‘Pneumothorax’.
Keras ImageDataGenerator
Another problem I encountered while working on this project was the amount of RAM I was using to load in the data. Because I was loading in all the training and testing images at one time, I quickly learned that this was not going to work. As an alternative, I decided to use Keras’s ImageDataGenerator which loads in the data a batch at a time during training. This makes it so large amounts of data are not loaded in at once and therefore no memory issues are encountered.
The model used to predict the defects in each image is a Convolutional Neural Network (CNN) that uses DenseNet121 as a feature extractor before a dense layer, followed by a dropout layer and the final classification layer. Sigmoid is the activation function applied in each dense layer. Adam is used as the optimizer with a learning rate of 1e-5.
I included dropout in my model because it helps reduce overfitting. Dropout layers remove certain connections between one layer and the next based on a given probability (for my model, I chose 0.2). This helps lower the likelihood of overfitting because it makes the model more robust by removing connections it may have ‘memorized’.
I also decided to apply transfer learning on this problem because it would save time on training a large CNN and compensate for the small amount of data I was using to train. Transfer learning is the practice of using a model developed for one problem as a starting point for a second problem. It helps save time because the layers are pre-trained and do not have to be trained again. It also helps on problems with less training data because the pre-trained model has already been trained on thousands of other images. Some common models used for transfer learning are VGG16, ResNet, and DenseNet. I chose DenseNet for this specific problem because it performs well on ImageNet classification. I made the last four layers of DenseNet trainable and all other weights were frozen, meaning the last four layers’ weights were able to be adjusted to fit this specific classification problem.
# load model without classifier layers
model = DenseNet121(include_top=False, input_shape=(1024, 1024, 3), weights='imagenet', pooling='max') # add new classifier layers flat1 = Flatten()(model.layers[-1].output)
class1 = Dense(1024, activation='relu')(flat1)
dropout = Dropout(0.2)(class1)
output = Dense(15, activation='sigmoid')(dropout) # define new model
model = Model(inputs=model.inputs, outputs=output) for layer in model.layers[:-4]:
layer.trainable = False
Unfortunately, there are still problems with the class imbalance and therefore, the scores are not very impressive. The AUC score increases slowly but does not drastically improve between the first epoch and the last.
I used the Area Under Curve (AUC) metric to measure how well the model was performing. AUC was an appropriate metric for this problem because it measures performance across all classifications. The AUC depicts the probability that a random positive example is ranked more highly than a random negative example (Google Developers). The ideal AUC score is 1.0, and if the model is 100% incorrect, the AUC is 0. Accuracy is not a good metric for this project because it is not well-suited for multi-label problems. For example, if the model predicts one out of two labels present, the accuracy would consider this prediction entirely incorrect.
The final scores for the validation data were an 25.52% loss, 50.64% accuracy and 54.03% AUC. The best reported accuracy for this problem was roughly 70% so hopefully future changes will improve these results.
Next Steps
Although I am still struggling with the class imbalance of this dataset, there are a few approaches that I can try to get past this problem. The first thing I want to do is balance the current dataset. Because there are roughly 112,000 images available, there are enough images to have roughly the same amount of instances for each label. This will involve some analysis of the dataset to see what classes are more or less prominent, but hopefully it will help the model learn more quickly. In addition to balancing the dataset, I would also like to do some data augmentation in order to get more images to train on. This would also make the model more robust and reduce overfitting. The last change I would like to make is the type of network I am using as a feature extractor. I am currently using DenseNet but perhaps ResNet or VGG16 are better suited for this problem.
After I solve the issues I am facing with the class imbalance, I would also like to address the second part of the intended use of the dataset by the predicting bounding boxes that locate each defect. The only issue with this is the fact that not all images contain bounding boxes so there will be less data to train on.
Although I did not see the results I wanted for this project, I appreciate all of the practical lessons that it has taught me. In addition to what I anticipated on working with, such as CNNs, transfer learning, and regularization, I also ran into challenges/opportunities that I would not have encountered until working on this project. Because of this, I feel as though it has helped me better understand what working with Deep Learning is like in practice. The first road block that helped grow my knowledge in deep learning was the issue I had while loading in data. Because I had not used Keras before, I did not know about how the ImageDataGenerator loads in data by batch and makes the dataloading process much easier. Now that I have seen how it is used as well as the type of problems it can solve, I will definitely keep it in mind for future projects.
The second element of this project that taught me about deep learning in practice was the significant imbalance in the dataset. Although I was aware of the differences in the amount of each label present in the dataset, I did not realize how much of an impact it would have on the project as a whole. This element of the project has showed me the significance of a well-rounded dataset. If the labels had been more evenly distributed, perhaps this would be a much simpler classification problem. Although I wish this project had produced better results, the obstacles I faced along the way provided me with a much more practical understanding of deep learning.
Satia, Imran, et al. “Assessing the accuracy and certainty in interpreting chest X-rays in the medical division.” Royal College of Physicians, 2013.
“Machine Learning Crash Course.” Google Developers.
All code can be accessed here.